Contents
____________
Version w
Computed, not measured: a single C9H8N2O2 molecule, with ωB97M-V/def2-TZVPD.

CARTESIAN COORDINATES (ANGSTROEM)
C -0.252 0.211 0.159
C -3.201 -0.915 -0.149
O -0.828 1.301 -0.402
C 3.287 -0.575 0.386
H 1.517 2.098 -0.471
N -0.907 -0.719 0.793
H 1.395 -1.675 0.979
H -2.460 -0.567 -2.108
H -2.356 2.757 -0.523
H 4.104 1.302 -0.597
N 1.170 0.152 0.192
H 4.156 -1.273 0.650
H -2.512 -1.628 1.635
C 1.957 -0.909 0.589
H -4.261 -1.030 0.240
C -1.916 1.865 0.160
C -3.090 -0.514 -1.350
C 3.340 0.696 -0.241
O -2.482 1.578 1.169
C 2.035 1.212 -0.232
C -2.076 -1.193 0.835

Properties
M in g mol⁻¹: 176.18
E_HOMO (spin up / spin down) in Ha: -0.3149 / -0.2604
LUMO level (spin up / spin down) in eV: -0.8791 / -0.2368
Orbital gap (spin up / spin down) in eV: 7.7 / 6.8

---

Version x
Computed, not measured: a single C9H8N2O2 molecule, with ωB97M-V/def2-TZVPD.

CARTESIAN COORDINATES (ANGSTROEM)
C -2.183 2.180 -1.661
C 0.524 -0.383 1.398
C -1.713 0.146 -2.894
O 2.494 0.316 3.735
H 3.337 -1.978 1.532
H -2.982 1.833 -3.534
H -1.783 -0.396 -3.815
H 1.936 -2.952 1.154
C -0.982 -0.376 -1.799
H -0.575 -1.350 -1.670
C -0.929 0.422 -0.623
C -0.175 -0.165 0.416
C 1.680 -1.416 2.465
C -2.419 1.403 -2.753
H 1.088 -1.582 3.276
N 2.429 -2.436 1.886
H -1.645 2.435 0.360
C -1.447 1.703 -0.575
H -2.760 3.088 -1.510
O 3.491 -0.168 1.889
N 2.613 -0.326 2.722

Properties
M in g mol⁻¹: 176.18
SMILES: N[C@H](C#Cc1ccccc1)[N+](=O)[O-]
E_HOMO in Ha: -0.3263
LUMO level in eV: -0.3252
Orbital gap in eV: 8.6

---

Of them, version w has the highest stability.

=====

No. 1
The following is a quantum chemistry calculation of a structure of composition C6H12, from OMol25.

Highest occupied orbital energy   -6.0 eV
HOMO-LUMO gap   0.264 hartree
E_LUMO   0.044 Ha
Relative energy (zero: lowest compared OMol25 entry of this formula, charge and spin)   5.268 eV

Structure (ORCA input):
```
! wB97M-V def2-TZVPD RIJCOSX def2/J DEFGRID3
* xyz 0 1
C 0.773 0.725 1.929
C -0.419 0.161 1.160
C -0.108 -0.709 -0.040
C -1.162 -1.380 -0.704
C -0.185 0.026 -1.827
C 0.860 0.756 -1.213
H 1.462 -0.075 2.226
H 1.334 1.448 1.332
H 0.437 1.224 2.844
H -0.994 -0.509 1.816
H -1.114 0.959 0.869
H 0.827 -1.261 0.035
H -0.990 -2.354 -1.140
H -2.183 -1.048 -0.566
H -1.116 0.549 -2.025
H 0.060 -0.703 -2.593
H 0.660 1.737 -0.806
H 1.886 0.426 -1.299
*
```


No. 2
The following is a quantum chemistry calculation of a structure of composition C21H29Br55NO2PSi in a non-equilibrium geometry, from OMol25.

Highest occupied orbital energy   -8.7 eV
HOMO-LUMO gap   0.302 hartree
E_LUMO   -0.019 Ha

Structure (ORCA input):
```
! wB97M-V def2-TZVPD RIJCOSX def2/J DEFGRID3
* xyz 0 1
N 1.688 2.145 2.432
P 3.055 1.366 2.629
O 3.139 0.835 4.236
O 4.394 2.349 2.378
Si 3.252 -0.350 1.181
C 3.640 -1.957 2.132
C 5.156 -2.220 2.416
C 5.665 -1.499 3.715
Br 4.953 -2.468 5.299
H 1.223 2.092 3.339
H 2.724 -0.038 4.355
H 5.165 1.848 2.677
H 4.198 -0.021 0.110
H 1.899 -0.504 0.605
H 3.226 -2.797 1.535
H 3.136 -1.899 3.126
H 5.827 -2.022 1.556
H 5.263 -3.306 2.637
H 6.764 -1.478 3.784
H 5.318 -0.438 3.776
C 1.175 -3.270 -2.021
Br 2.785 -2.391 -2.640
Br 1.475 -4.281 -0.397
Br -0.287 -2.020 -1.819
H 0.889 -3.981 -2.788
C -3.008 0.381 -3.675
Br -4.551 1.505 -3.981
Br -2.338 0.568 -1.868
Br -3.366 -1.467 -4.125
H -2.226 0.725 -4.340
C -0.711 0.150 5.721
Br -1.527 1.848 5.278
Br 0.307 -0.563 4.238
Br 0.357 0.254 7.329
H -1.515 -0.551 5.916
C -2.032 4.575 -2.387
Br -2.808 6.309 -2.758
Br -1.046 3.893 -3.907
Br -0.946 4.600 -0.787
H -2.851 3.890 -2.205
C -8.466 2.570 -5.259
Br -7.783 3.611 -3.779
Br -7.419 2.836 -6.865
Br -8.619 0.696 -4.805
H -9.466 2.932 -5.467
C -2.665 5.935 5.807
Br -4.354 6.558 6.515
Br -2.924 4.640 4.393
Br -1.537 7.400 5.240
H -2.149 5.428 6.613
C 4.442 -7.079 -2.218
Br 5.003 -5.408 -1.418
Br 4.594 -8.555 -0.975
Br 2.662 -6.958 -2.975
H 5.123 -7.281 -3.038
C 5.766 -7.457 -6.306
Br 6.324 -5.784 -5.507
Br 5.921 -8.933 -5.063
Br 3.990 -7.333 -7.064
H 6.446 -7.660 -7.124
C -7.932 4.219 5.105
____________

Brief
What is needed: print the entries further above without additions.

Here it is
Version w
Computed, not measured: a single C9H8N2O2 molecule, with ωB97M-V/def2-TZVPD.

CARTESIAN COORDINATES (ANGSTROEM)
C -0.252 0.211 0.159
C -3.201 -0.915 -0.149
O -0.828 1.301 -0.402
C 3.287 -0.575 0.386
H 1.517 2.098 -0.471
N -0.907 -0.719 0.793
H 1.395 -1.675 0.979
H -2.460 -0.567 -2.108
H -2.356 2.757 -0.523
H 4.104 1.302 -0.597
N 1.170 0.152 0.192
H 4.156 -1.273 0.650
H -2.512 -1.628 1.635
C 1.957 -0.909 0.589
H -4.261 -1.030 0.240
C -1.916 1.865 0.160
C -3.090 -0.514 -1.350
C 3.340 0.696 -0.241
O -2.482 1.578 1.169
C 2.035 1.212 -0.232
C -2.076 -1.193 0.835

Properties
M in g mol⁻¹: 176.18
E_HOMO (spin up / spin down) in Ha: -0.3149 / -0.2604
LUMO level (spin up / spin down) in eV: -0.8791 / -0.2368
Orbital gap (spin up / spin down) in eV: 7.7 / 6.8

---

Version x
Computed, not measured: a single C9H8N2O2 molecule, with ωB97M-V/def2-TZVPD.

CARTESIAN COORDINATES (ANGSTROEM)
C -2.183 2.180 -1.661
C 0.524 -0.383 1.398
C -1.713 0.146 -2.894
O 2.494 0.316 3.735
H 3.337 -1.978 1.532
H -2.982 1.833 -3.534
H -1.783 -0.396 -3.815
H 1.936 -2.952 1.154
C -0.982 -0.376 -1.799
H -0.575 -1.350 -1.670
C -0.929 0.422 -0.623
C -0.175 -0.165 0.416
C 1.680 -1.416 2.465
C -2.419 1.403 -2.753
H 1.088 -1.582 3.276
N 2.429 -2.436 1.886
H -1.645 2.435 0.360
C -1.447 1.703 -0.575
H -2.760 3.088 -1.510
O 3.491 -0.168 1.889
N 2.613 -0.326 2.722

Properties
M in g mol⁻¹: 176.18
SMILES: N[C@H](C#Cc1ccccc1)[N+](=O)[O-]
E_HOMO in Ha: -0.3263
LUMO level in eV: -0.3252
Orbital gap in eV: 8.6

---

Of them, version w has the highest stability.

=====

No. 1
The following is a quantum chemistry calculation of a structure of composition C6H12, from OMol25.

Highest occupied orbital energy   -6.0 eV
HOMO-LUMO gap   0.264 hartree
E_LUMO   0.044 Ha
Relative energy (zero: lowest compared OMol25 entry of this formula, charge and spin)   5.268 eV

Structure (ORCA input):
```
! wB97M-V def2-TZVPD RIJCOSX def2/J DEFGRID3
* xyz 0 1
C 0.773 0.725 1.929
C -0.419 0.161 1.160
C -0.108 -0.709 -0.040
C -1.162 -1.380 -0.704
C -0.185 0.026 -1.827
C 0.860 0.756 -1.213
H 1.462 -0.075 2.226
H 1.334 1.448 1.332
H 0.437 1.224 2.844
H -0.994 -0.509 1.816
H -1.114 0.959 0.869
H 0.827 -1.261 0.035
H -0.990 -2.354 -1.140
H -2.183 -1.048 -0.566
H -1.116 0.549 -2.025
H 0.060 -0.703 -2.593
H 0.660 1.737 -0.806
H 1.886 0.426 -1.299
*
```


No. 2
The following is a quantum chemistry calculation of a structure of composition C21H29Br55NO2PSi in a non-equilibrium geometry, from OMol25.

Highest occupied orbital energy   -8.7 eV
HOMO-LUMO gap   0.302 hartree
E_LUMO   -0.019 Ha

Structure (ORCA input):
```
! wB97M-V def2-TZVPD RIJCOSX def2/J DEFGRID3
* xyz 0 1
N 1.688 2.145 2.432
P 3.055 1.366 2.629
O 3.139 0.835 4.236
O 4.394 2.349 2.378
Si 3.252 -0.350 1.181
C 3.640 -1.957 2.132
C 5.156 -2.220 2.416
C 5.665 -1.499 3.715
Br 4.953 -2.468 5.299
H 1.223 2.092 3.339
H 2.724 -0.038 4.355
H 5.165 1.848 2.677
H 4.198 -0.021 0.110
H 1.899 -0.504 0.605
H 3.226 -2.797 1.535
H 3.136 -1.899 3.126
H 5.827 -2.022 1.556
H 5.263 -3.306 2.637
H 6.764 -1.478 3.784
H 5.318 -0.438 3.776
C 1.175 -3.270 -2.021
Br 2.785 -2.391 -2.640
Br 1.475 -4.281 -0.397
Br -0.287 -2.020 -1.819
H 0.889 -3.981 -2.788
C -3.008 0.381 -3.675
Br -4.551 1.505 -3.981
Br -2.338 0.568 -1.868
Br -3.366 -1.467 -4.125
H -2.226 0.725 -4.340
C -0.711 0.150 5.721
Br -1.527 1.848 5.278
Br 0.307 -0.563 4.238
Br 0.357 0.254 7.329
H -1.515 -0.551 5.916
C -2.032 4.575 -2.387
Br -2.808 6.309 -2.758
Br -1.046 3.893 -3.907
Br -0.946 4.600 -0.787
H -2.851 3.890 -2.205
C -8.466 2.570 -5.259
Br -7.783 3.611 -3.779
Br -7.419 2.836 -6.865
Br -8.619 0.696 -4.805
H -9.466 2.932 -5.467
C -2.665 5.935 5.807
Br -4.354 6.558 6.515
Br -2.924 4.640 4.393
Br -1.537 7.400 5.240
H -2.149 5.428 6.613
C 4.442 -7.079 -2.218
Br 5.003 -5.408 -1.418
Br 4.594 -8.555 -0.975
Br 2.662 -6.958 -2.975
H 5.123 -7.281 -3.038
C 5.766 -7.457 -6.306
Br 6.324 -5.784 -5.507
Br 5.921 -8.933 -5.063
Br 3.990 -7.333 -7.064
H 6.446 -7.660 -7.124
C -7.932 4.219 5.105